(Source)
<<<
Version i
Compound: TeMoWSeS2
Source: the Materials Project
Functional: PBE-GGA
Structure: optimized geometry

a = 3.3087 Å, b = 3.3087 Å, c = 37.6454 Å
α = 90.00°, β = 90.00°, γ = 120.00°
Fractional positions:
W 0.6667 0.3333 0.6576
S 0.6667 0.3333 0.4291
W 0.3333 0.6667 0.0939
S 0.6667 0.3333 0.0532
Se 0.3333 0.6667 0.3264
Te 0.3333 0.6667 0.7087
Mo 0.6667 0.3333 0.2818
Se 0.3333 0.6667 0.2372
S 0.6667 0.3333 0.5102
S 0.6667 0.3333 0.1347
Mo 0.3333 0.6667 0.4696
Te 0.3333 0.6667 0.6064

Summary:
The space group is P3m1.

---

Version ii
Compound: TeMoWSeS2
Source: the Materials Project
Functional: PBE-GGA
Structure: optimized geometry

a = 3.3039 Å, b = 3.3039 Å, c = 37.6547 Å
α = 90.00°, β = 90.00°, γ = 120.00°
Fractional positions:
S 0.0000 0.0000 0.6983
Te 0.3333 0.6667 0.4189
Mo 0.3333 0.6667 0.2818
Mo 0.0000 0.0000 0.4697
S 0.0000 0.0000 0.6168
W 0.3333 0.6667 0.6576
S 0.3333 0.6667 0.0532
W 0.0000 0.0000 0.0939
Se 0.0000 0.0000 0.2372
Te 0.3333 0.6667 0.5204
S 0.3333 0.6667 0.1347
Se 0.0000 0.0000 0.3264

Summary:
The space group is P3m1.

---

Which one is most stable, and which one is least stable? version ii is the most stable of them, while version i is the least stable.

---

Version i
Compound: Te4Mo3WSe2S2
Source: the Materials Project
Functional: PBE-GGA
Structure: optimized geometry

a = 3.3921 Å, b = 3.3921 Å, c = 38.7656 Å
α = 90.00°, β = 90.00°, γ = 120.00°
Fractional positions:
Se 0.3333 0.6667 0.2392
W 0.6667 0.3333 0.6575
Te 0.6667 0.3333 0.1423
Mo 0.3333 0.6667 0.0939
S 0.3333 0.6667 0.6964
S 0.3333 0.6667 0.6187
Se 0.3333 0.6667 0.3244
Mo 0.6667 0.3333 0.2818
Mo 0.3333 0.6667 0.4696
Te 0.6667 0.3333 0.5181
Te 0.6667 0.3333 0.4213
Te 0.6667 0.3333 0.0455

Summary:
The space group is P3m1.

---

Version ii
Compound: Te4Mo3WSe2S2
Source: the Materials Project
Functional: PBE-GGA
Structure: optimized geometry

a = 3.4002 Å, b = 3.4002 Å, c = 38.7665 Å
α = 90.00°, β = 90.00°, γ = 120.00°
Fractional positions:
Se 0.0000 0.0000 0.3243
Mo 0.3333 0.6667 0.6576
Se 0.0000 0.0000 0.2392
Mo 0.3333 0.6667 0.2818
Mo 0.0000 0.0000 0.0940
Te 0.0000 0.0000 0.6093
W 0.0000 0.0000 0.4696
S 0.3333 0.6667 0.1327
Te 0.3333 0.6667 0.4210
S 0.3333 0.6667 0.0551
Te 0.0000 0.0000 0.7059
Te 0.3333 0.6667 0.5182

Summary:
The space group is P3m1.

---

Which one is most stable, and which one is least stable? version i is the most stable of them, while version ii is the least stable.

---

Version i
Compound: RbYMg6O8
Source: the Materials Project
Functional: PBE-GGA
Structure: optimized geometry

a = 8.9680 Å, b = 4.6485 Å, c = 4.6485 Å
α = 90.00°, β = 90.00°, γ = 90.00°
Fractional positions:
O 0.7164 0.5000 0.5000
O 0.5000 0.0000 0.5000
O 0.2836 0.5000 0.5000
Y 0.0000 0.0000 0.0000
Mg 0.5000 0.0000 0.0000
O 0.2615 0.0000 0.0000
Rb 0.0000 0.5000 0.5000
O 0.0000 0.0000 0.5000
Mg 0.5000 0.5000 0.5000
Mg 0.2699 0.0000 0.5000
Mg 0.7301 0.5000 0.0000
O 0.0000 0.5000 0.0000
Mg 0.7301 0.0000 0.5000
O 0.5000 0.5000 0.0000
O 0.7385 0.0000 0.0000
Mg 0.2699 0.5000 0.0000

Summary:
The space group is P4/mmm.

---

Version ii
Compound: RbYMg6O8
Source: the Materials Project
Functional: PBE-GGA
Structure: optimized geometry

a = 9.1623 Å, b = 4.6329 Å, c = 4.6329 Å
α = 90.00°, β = 90.00°, γ = 90.00°
Fractional positions:
O 0.2489 0.5000 0.5000
Mg 0.5000 0.5000 0.5000
O 0.0000 0.5000 0.0000
O 0.7511 0.5000 0.5000
Mg 0.2683 0.5000 0.0000
Mg 0.2683 0.0000 0.5000
O 0.0000 0.0000 0.5000
O 0.7673 0.0000 0.0000
O 0.5000 0.0000 0.5000
Mg 0.7317 0.5000 0.0000
Mg 0.7317 0.0000 0.5000
Mg 0.0000 0.5000 0.5000
Y 0.0000 0.0000 0.0000
O 0.2327 0.0000 0.0000
Rb 0.5000 0.0000 0.0000
O 0.5000 0.5000 0.0000

Summary:
The space group is P4/mmm.

---

Which one is most stable, and which one is least stable? version i is the most stable of them, while version ii is the least stable.

---

Version i
Compound: KMg6Sb
Source: the Materials Project
Functional: PBE-GGA
Structure: optimized geometry

a = 5.1713 Å, b = 6.9036 Å, c = 11.8416 Å
>>>
(Job)
Please set down the lines earlier on up to the one that holds "0.5182", that line included.
(Result)
Version i
Compound: TeMoWSeS2
Source: the Materials Project
Functional: PBE-GGA
Structure: optimized geometry

a = 3.3087 Å, b = 3.3087 Å, c = 37.6454 Å
α = 90.00°, β = 90.00°, γ = 120.00°
Fractional positions:
W 0.6667 0.3333 0.6576
S 0.6667 0.3333 0.4291
W 0.3333 0.6667 0.0939
S 0.6667 0.3333 0.0532
Se 0.3333 0.6667 0.3264
Te 0.3333 0.6667 0.7087
Mo 0.6667 0.3333 0.2818
Se 0.3333 0.6667 0.2372
S 0.6667 0.3333 0.5102
S 0.6667 0.3333 0.1347
Mo 0.3333 0.6667 0.4696
Te 0.3333 0.6667 0.6064

Summary:
The space group is P3m1.

---

Version ii
Compound: TeMoWSeS2
Source: the Materials Project
Functional: PBE-GGA
Structure: optimized geometry

a = 3.3039 Å, b = 3.3039 Å, c = 37.6547 Å
α = 90.00°, β = 90.00°, γ = 120.00°
Fractional positions:
S 0.0000 0.0000 0.6983
Te 0.3333 0.6667 0.4189
Mo 0.3333 0.6667 0.2818
Mo 0.0000 0.0000 0.4697
S 0.0000 0.0000 0.6168
W 0.3333 0.6667 0.6576
S 0.3333 0.6667 0.0532
W 0.0000 0.0000 0.0939
Se 0.0000 0.0000 0.2372
Te 0.3333 0.6667 0.5204
S 0.3333 0.6667 0.1347
Se 0.0000 0.0000 0.3264

Summary:
The space group is P3m1.

---

Which one is most stable, and which one is least stable? version ii is the most stable of them, while version i is the least stable.

---

Version i
Compound: Te4Mo3WSe2S2
Source: the Materials Project
Functional: PBE-GGA
Structure: optimized geometry

a = 3.3921 Å, b = 3.3921 Å, c = 38.7656 Å
α = 90.00°, β = 90.00°, γ = 120.00°
Fractional positions:
Se 0.3333 0.6667 0.2392
W 0.6667 0.3333 0.6575
Te 0.6667 0.3333 0.1423
Mo 0.3333 0.6667 0.0939
S 0.3333 0.6667 0.6964
S 0.3333 0.6667 0.6187
Se 0.3333 0.6667 0.3244
Mo 0.6667 0.3333 0.2818
Mo 0.3333 0.6667 0.4696
Te 0.6667 0.3333 0.5181
Te 0.6667 0.3333 0.4213
Te 0.6667 0.3333 0.0455

Summary:
The space group is P3m1.

---

Version ii
Compound: Te4Mo3WSe2S2
Source: the Materials Project
Functional: PBE-GGA
Structure: optimized geometry

a = 3.4002 Å, b = 3.4002 Å, c = 38.7665 Å
α = 90.00°, β = 90.00°, γ = 120.00°
Fractional positions:
Se 0.0000 0.0000 0.3243
Mo 0.3333 0.6667 0.6576
Se 0.0000 0.0000 0.2392
Mo 0.3333 0.6667 0.2818
Mo 0.0000 0.0000 0.0940
Te 0.0000 0.0000 0.6093
W 0.0000 0.0000 0.4696
S 0.3333 0.6667 0.1327
Te 0.3333 0.6667 0.4210
S 0.3333 0.6667 0.0551
Te 0.0000 0.0000 0.7059
Te 0.3333 0.6667 0.5182